Chaos by Sarah Bailey

Thirty Eight


“Is it just me or has Scarlett been acting weird this morning?” Prescott said when the lift doors closed.

Scarlett had gone downstairs with West. Given I needed to talk to Drake about last night, I wasn’t upset about it. But I did want to ask her what the hell was up with her. She’d been acting suspiciously since the moment she’d woken up.

“Yeah, not just you, I don’t know what’s up with her.”

There was no reason for it. She’d been happy last night… well, except for the part where I’d exposed her relationship with me to Stuart. Otherwise, she hadn’t been out of sorts. This morning was another matter.

“That’s easy. She knows I have the memory stick Stuart must have given her yesterday and thinks I’m going to do something about it,” Drake said.

Both Prescott and I looked at him.

“Memory stick? So that’s what he was passing her.”

I hadn’t forgotten I’d watched him press something into Scarlett’s hand.

“Tell me what happened.”

I picked up my mug and sipped, wanting to avoid telling Drake I’d fucked up for as long as I possibly could. Prescott gave me a look. He knew too, just not the details. If I was honest, I didn’t care about the fact I’d pissed Stuart off by publicly staking my claim on Scarlett. She belonged to us. He needed taking down a peg or two. The fucker was far too confident.

“Stuart may be aware of my… relationship with Scarlett.”

I swear the sheer disbelief on Drake’s face was unlike anything I’d seen directed at me before. West and Prescott had got their fair share of Drake’s disapproving looks, but I mostly avoided them by not creating trouble.

“I sent you with her because you’re the fucking sensible one, Francis. What the hell happened?”

He had no idea what I had to deal with last night. Drake wouldn’t cut me any slack, but the situation wasn’t what any of us had anticipated. Guess maybe I was a little more possessive of Scarlett than I realised. And I wanted the world to fucking well know it. She was mine. Being around the girl I’d grown up with brought out all my protective instincts. The need to brand myself all over her got stronger with each passing day.

I own Scarlett just as much as the rest of them do. She’s my little whore. Mine.

“I went into his box with her and waited by the door, right, then Mason turns up. I warned him to stay away from Scarlett, but he wasn’t there for her.”

Prescott’s eyes darkened.

“That fuck. I swear I want to rip his face off.”

Drake sent Prescott a warning look. We all knew we couldn’t touch Mason no matter how much we wanted to destroy the piece of shit for everything he’d done.

“Who was he there for?” he asked a moment later.

If Drake had any fucking common sense, he wouldn’t have asked the question. He knew exactly who Stuart’s best friend was. Knew the person who could and would send us all to prison if he ever found out the truth. He would make a fucking example of us.

“Who do you think?”

His eyebrows shot up.

“You serious?”

“Yeah, I am.”


I set my mug down on the counter. Seeing not one but two men who definitely had it out for us was unsettling. To be honest, it rattled me. And I couldn’t help but stake my claim all over Scarlett because of it.

“Did he see you?”

I shrugged.

“Don’t think so. I hope not. Anyway, Mason was acting like a dick and it pissed me off.”

“Sounds like Mason,” Prescott muttered. “He’s always been a cunt.”

“I made it clear Scarlett is ours. Then I may have also kissed her when we were in the stands in full view of Stuart. I saw him watching us and I couldn’t help myself.”

There was no point lying to them about what happened. They would find out one way or another. Besides, keeping secrets wouldn’t do me any favours.

“Jesus Christ,” Drake exclaimed.

Prescott smirked.

“I bet he was pissed.”

I nodded. Stuart looked incensed. Like he wanted to rip my face off for daring to touch Scarlett. And it reminded me of something else.

“What do you think Mason told Stuart about her moving out?”

“I think the better question is why didn’t he tell Stuart she’s sleeping with all of us,” Drake said, rubbing his chin with his fingers.

“He knows?”

Drake gave me a sharp nod before he sat back and looked up at the ceiling.

“That’s the real reason he was angry with her the day he hurt her. Well, likely angry and jealous.”

Prescott scowled and crossed his arms over his chest.

“He wants her for himself. Always fucking has… even when we were younger.”

Mason was older than us, but we’d known him since we were teenagers. I wished he was anyone other than the fucking Police Commissioner’s son. We would have got rid of him a long time ago if it wasn’t for that. And who knew why he hadn’t told Stuart about her real relationship with us. If Drake was right and Stuart had hurt Scarlett, no doubt Mason knew about it. And in his own fucked up way, he was trying to protect her. Too bad he was protecting her from the wrong fucking people. We were her safety, not him. Us. We’d fight for Scarlett for the rest of our lives.

“He’s not having her no matter what he does,” Drake said. “Over my fucking dead body.”

He dropped his head back down. I could see the dark look in his indigo eyes. The one telling me he would unleash his inner beast on Mason if he could. I watched Prescott smile at Drake’s reaction.

“Oh, so you do care, huh?”

“She’s ours.”

Prescott’s smile got wider.

“And what, pray tell, caused this sudden possessiveness?”

Drake gave Prescott a dark look.


“Oh no, you don’t get to do that, Drake.” Prescott waggled his finger. “How exactly did you get a hold of this memory stick of Stuart’s, hmm? I think me and Francis deserve to know. Do you even know what’s on it?”

It took a long minute for Drake to say a word. A haunted look crossed over his features, telling me something had gone on last night none of us were privy to.

“She found me in my hideaway and when I put her to bed afterwards, I found the memory stick in her pocket. And no, I haven’t plugged it into anything because I’m wary of what’s on it. This shit is not our field of expertise.”

Prescott dropped his hands from his chest and dug them into his pockets instead.

“We should get West to contact Penn, he’ll know someone who can deal with it safely.”

“We already owe him one favour.”

“So? He’s useful and this time we can just pay him. Not like we’re asking him to give us another randomer to off or anything.”

Drake looked pensive for a moment. We didn’t want to owe the Fixer more favours. One was enough. West trusted him even though he had ties to Zayn Villetti, the mafia kingpin, Gennaro’s son. The whole Villetti family was involved in a lot of shady shit. Gennaro Villetti was the head of the mafia here in London. And one person we avoided like the plague. He was ruthless and unforgiving. Not a man you wanted to have a vendetta against you under any circumstances.

“You’re right. We need to know what’s on it and if she’s actually gone through with what Stuart wanted or not. Perhaps we can use this situation to our advantage. I’ll speak to West when we go downstairs.”

I raised an eyebrow at Drake.

“How did she end up on the roof with you?” I was fucking curious about what the hell had gone on between them. “Does this mean she’s forgiven you for fucking up?”

Drake scowled before letting out a sigh and looking away.

“I don’t know if she has. And she found me up there, probably heard me playing and came to investigate.”

“Did she give you a hard time?”

(Records of crystals, kept here for reference)
********
Record 1
A relaxed structure of GaCuMo2. Source: the Open Quantum Materials Database, functional PBE.

POSCAR file:
```
GaCuMo2
1.0
0.0000 3.0925 3.0925
3.0925 0.0000 3.0925
3.0925 3.0925 0.0000
Ga Cu Mo
1 1 2
Cartesian
0.0000 0.0000 0.0000
1.5463 1.5463 1.5463
3.0925 3.0925 3.0925
4.6388 4.6388 4.6388
```


Record 2
A relaxed structure of GaCuMo. Source: the Open Quantum Materials Database, functional PBE.

POSCAR file:
```
GaCuMo
1.0
0.0000 2.9688 2.9688
2.9688 0.0000 2.9688
2.9688 2.9688 0.0000
Ga Cu Mo
1 1 1
Cartesian
0.0000 0.0000 0.0000
2.9688 2.9688 2.9688
4.4532 4.4532 4.4532
```


Record 3
A relaxed structure of GaCuMo4N2. Source: the Open Quantum Materials Database, functional PBE.

POSCAR file:
```
GaCuMo4N2
1.0
2.8375 0.0000 0.0000
-1.4188 2.4574 0.0000
0.0000 0.0000 14.5308
Ga Cu Mo N
1 1 4 2
Cartesian
0.0000 0.0000 0.0000
1.4188 0.8191 7.2654
0.0000 0.0000 5.0613
0.0000 0.0000 9.4695
1.4188 0.8191 2.2398
1.4188 0.8191 12.2910
0.0000 1.6382 3.6441
0.0000 1.6382 10.8867
```


Record 4
A relaxed structure of NbGaCuMo. Source: the Open Quantum Materials Database, functional PBE.

POSCAR file:
```
NbGaCuMo
1.0
0.0000 3.1424 3.1424
3.1424 0.0000 3.1424
3.1424 3.1424 0.0000
Nb Ga Cu Mo
1 1 1 1
Cartesian
0.0000 0.0000 0.0000
3.1424 3.1424 3.1424
4.7137 4.7137 4.7137
1.5712 1.5712 1.5712
```


Record 5
A relaxed structure of GaCuMoOs. Source: the Open Quantum Materials Database, functional PBE.

POSCAR file:
```
GaCuMoOs
1.0
0.0000 3.0324 3.0324
3.0324 0.0000 3.0324
3.0324 3.0324 0.0000
Ga Cu Mo Os
1 1 1 1
Cartesian
0.0000 0.0000 0.0000
3.0324 3.0324 3.0324
1.5162 1.5162 1.5162
4.5486 4.5486 4.5486
```


Record 6
A relaxed structure of GaCuMoOs. Source: the Open Quantum Materials Database, functional PBE.

POSCAR file:
```
GaCuMoOs
1.0
0.0000 3.0573 3.0573
3.0573 0.0000 3.0573
3.0573 3.0573 0.0000
Ga Cu Mo Os
1 1 1 1
Cartesian
0.0000 0.0000 0.0000
4.5859 4.5859 4.5859
3.0573 3.0573 3.0573
1.5286 1.5286 1.5286
```


Record 7
A relaxed structure of GaCuMoPt. Source: the Open Quantum Materials Database, functional PBE.

POSCAR file:
```
GaCuMoPt
1.0
0.0000 3.0968 3.0968
3.0968 0.0000 3.0968
3.0968 3.0968 0.0000
Ga Cu Mo Pt
1 1 1 1
Cartesian
0.0000 0.0000 0.0000
1.5484 1.5484 1.5484
4.6452 4.6452 4.6452
3.0968 3.0968 3.0968
```


Record 8
A relaxed structure of ScGaCuMo. Source: the Open Quantum Materials Database, functional PBE.

POSCAR file:
```
ScGaCuMo
1.0
0.0000 3.1666 3.1666
3.1666 0.0000 3.1666
3.1666 3.1666 0.0000
Sc Ga Cu Mo
1 1 1 1
Cartesian
0.0000 0.0000 0.0000
3.1666 3.1666 3.1666
4.7499 4.7499 4.7499
1.5833 1.5833 1.5833
```


Record 9
A relaxed structure of TaGaCuMo. Source: the Open Quantum Materials Database, functional PBE.

POSCAR file:
```
TaGaCuMo
1.0
0.0000 3.1383 3.1383
3.1383 0.0000 3.1383
3.1383 3.1383 0.0000
Ta Ga Cu Mo
1 1 1 1
Cartesian
0.0000 0.0000 0.0000
3.1383 3.1383 3.1383
4.7074 4.7074 4.7074
1.5691 1.5691 1.5691
```


Record 10
********

“No. She didn’t. And before you ask, I did apologise for what happened… sort of.”

Prescott snorted.

“Sort of? So it was a half-arsed apology then?”

Drake didn’t look back at us.

“All of us are going to spend a lifetime making up for what we did. Don’t give me shit for attempting to apologise to her. We’ve all fucked up with her.”

The three of us fell silent at his words. It wasn’t anything new for me. We were always going to have to make up for the shit we’d put her through. For her accident. For ruining her life. That night was on us, but what happened next? Well, it was on the Carvers. We had nothing to do with what they’d put her through. I wished we knew what had gone on in their household for the past ten years. What they’d done to her.

“She knows you play then,” I said after the silence had gone on for too long.

Drake finally met my eyes.

“Yes. I don’t know how I feel about it.” He leant forward, resting his arms on his knees. “The old Scarlett knew, but she’s not that girl… at least, I don’t think she will ever be exactly the same. Maybe it’s why I’m so conflicted about her remembering who we are. We’ve been separated for ten years. She’s not our Little Nyx any longer. She’s grown up and fuck knows what she’s been through without us.”

The sombre notes to his voice made my chest ache. He was right. She wasn’t the girl from our youth, but it didn’t make her any less magnificent. Any less beautiful and alluring. If anything, she was so much more now. And the only way we’d set Scarlett free was by restoring what she’d lost. By giving her back the girl she’d been so she could be the woman she was now. The one who wanted out of the cage in her mind.

“She needs to remember, Drake. We’re running out of options here. What if you hadn’t intercepted the memory stick? I know you told me to allow everything to play out, but it’s one close call after another right now. I mean, anything could have happened last night. Me going to the game was a huge gamble in the first place, knowing it’s his stadium. His people surrounding me and her. Not to mention Garrett being there. It could have all gone to hell.”

Drake dropped his head and stared at the floor.

“Anything to do with Stuart is always a risk, but you’re right. We can’t keep hiding it from her, but we need to get an agreement from West first before we move forward. We make decisions together or not at all, remember?”

It had always been our way ever since we were kids. The five of us had been a democracy in a sense. Only the four of us had gone behind Scarlett’s back and changed everything for good by our reckless actions.

“We’ll meet after work then… talk about it then.”

Drake nodded. I glanced at Prescott who was also nodding. It was decided. We were going to have to do something to accelerate the process. Find a way to restore Scarlett’s memories for her. Whatever it took. It was something we all had to face up to. And our demons were about to be exposed in the worst way. The night that haunted each and every one of us, including Scarlett. Especially her, as she couldn’t remember a single damn thing.

“Well, let’s get going before we’re all late and make a bad impression, eh?” Prescott said, waving a hand at us. “We’ll deal with this shit later when we’re all together.”

As the three of us walked towards the lift, I couldn’t help feeling a sense of impending dread. This was the right thing to do, but it didn’t stop nausea from coiling in my stomach. And I wasn’t sure why my senses were on fire with the knowledge we were walking headlong into the worst fucking shitshow of our lives.